MovieChat Forums > Sweet November (1968) Discussion > This Movie Goes Right Through Me / Spoil...

This Movie Goes Right Through Me / Spoilers

Major Spoilers.

I've seen this movie a few times now, and everytime I watch it it hits me like a ton of bricks.

"Let him stay! Let him stay!"

And she doesn't, and I just cry and cry and cry.

And then I get over it, and then I watch it again, thinking, okay, this time, I know the ending's coming, and I'm going to understand it, and not be overwhelmed by it, And I am overwhelmed by it, and I don't get why it moves me so much.

I mean, you'd think that having seen it more than once, and knowing what's coming, it wouldn't hit me so hard.

Is anyone else out there driven to tears everytime they watch this movie?


I agree and I'm a guy. Near the end of the movie it's hard not to hold back the tears. It's a great movie and too bad it's not out on DVD. I have the VHS tape and watch it at least once a year near Christmas. I am a big Sandy Dennis fan.


Thanks for sharing, Patchofblue.

it's always nice to learn that there are others out there who are aware of this movie.


I could not have been more than eight years old when I saw this movie on late night TV in the 70's and even then it crushed me. I have not seen it since, and at 40, I still remember how it made me feel.

Next to the text, the page also holds calculated crystals
********
w | {"formula": "Li3AsF", "functional": "PBE", "state": "relaxed", "lattice_angstrom": [[4.454, 0.000, 0.000], [-2.227, 5.759, 0.368], [0.000, 0.005, 5.781]], "species": ["Li", "Li", "Li", "Li", "Li", "Li", "As", "As", "F", "F"], "fractional_positions": [[0.056, 0.111, 0.183], [0.944, 0.889, 0.817], [0.608, 0.215, 0.852], [0.392, 0.785, 0.148], [0.823, 0.647, 0.435], [0.177, 0.353, 0.565], [0.403, 0.807, 0.624], [0.597, 0.193, 0.376], [0.109, 0.218, 0.867], [0.891, 0.782, 0.133]]}

x | {"formula": "Li3AsF", "functional": "PBE", "state": "relaxed", "dos_at_fermi_per_ev_fu": 10.8, "lattice_angstrom": [[-4.363, 1.946, -0.759], [-0.929, -3.382, -3.331], [-1.870, -2.859, 3.424]], "species": ["As", "Li", "Li", "Li", "F"], "fractional_positions": [[0.000, 0.000, 0.000], [0.000, 0.500, 0.000], [0.000, 0.000, 0.500], [0.500, 0.000, 0.000], [0.500, 0.500, 0.500]]}

y | {"formula": "Li3AsF", "functional": "PBE", "state": "relaxed", "dos_at_fermi_per_ev_fu": 2.6, "lattice_angstrom": [[4.004, 0.000, 0.000], [0.000, 4.004, 0.000], [0.000, 0.000, 4.004]], "species": ["As", "Li", "Li", "Li", "F"], "fractional_positions": [[0.500, 0.500, 0.500], [0.000, 0.500, 0.000], [0.000, 0.000, 0.500], [0.500, 0.000, 0.000], [0.000, 0.000, 0.000]]}

Relative energies, in meV/atom, with the most stable structure set to zero: w 0; x 775; y 24.

w | {"formula": "LiAs3F", "functional": "PBE", "state": "relaxed", "dos_at_fermi_per_ev_fu": 2.5, "lattice_angstrom": [[-0.070, 2.617, 3.756], [-3.660, -2.288, 1.526], [2.749, -2.979, 2.128]], "species": ["As", "As", "As", "Li", "F"], "fractional_positions": [[0.000, 0.500, 0.000], [0.000, 0.000, 0.500], [0.500, 0.000, 0.000], [0.500, 0.500, 0.500], [0.000, 0.000, 0.000]]}

x | {"formula": "LiAs3F", "functional": "PBE", "state": "relaxed", "dos_at_fermi_per_ev_fu": 3.5, "lattice_angstrom": [[4.476, 0.000, 0.000], [0.000, 4.476, 0.000], [0.000, 0.000, 4.476]], "species": ["As", "As", "As", "Li", "F"], "fractional_positions": [[0.000, 0.500, 0.000], [0.000, 0.000, 0.500], [0.500, 0.000, 0.000], [0.000, 0.000, 0.000], [0.500, 0.500, 0.500]]}

Relative energies, in meV/atom, with the most stable structure set to zero: w 0; x 186.

w | {"formula": "LiAs2F", "functional": "PBE", "state": "relaxed", "dos_at_fermi_per_ev_fu": 0.9, "lattice_angstrom": [[3.541, 0.000, 0.000], [0.000, 3.541, 0.000], [1.770, 1.770, 12.542]], "species": ["As", "As", "As", "As", "Li", "Li", "F", "F"], "fractional_positions": [[0.615, 0.125, 0.250], [0.135, 0.625, 0.250], [0.375, 0.385, 0.750], [0.875, 0.865, 0.750], [0.500, 0.500, 0.000], [0.250, 0.750, 0.500], [0.000, 0.000, 0.000], [0.750, 0.250, 0.500]]}

x | {"formula": "LiAs2F", "functional": "PBE", "state": "relaxed", "dos_at_fermi_per_ev_fu": 0.2, "lattice_angstrom": [[0.000, 3.096, 3.096], [3.096, 0.000, 3.096], [3.096, 3.096, 0.000]], "species": ["As", "As", "Li", "F"], "fractional_positions": [[0.250, 0.250, 0.250], [0.750, 0.750, 0.750], [0.000, 0.000, 0.000], [0.500, 0.500, 0.500]]}
********


i first watched this film in april 1981 on late night tv and cried uncontrollably it still makes me cry when i watch it and also sad that sandy dennis and anthony newley are now both gone


I too am a huge Sandy Dennis fan. Her performance in this film is magnificent. She was probably never better than this, although her performance in "A Touch Of Love" is also very moving and realistic


I'm a guy too and the first time I saw this movie on TV in the UK I was in pieces. I've seen it since and it made me cry all over again. Something about the poignancy of the situation, and in the passing of the months, the tragic inevitability of time and tide. Sandy Dennis and Tony Newley are both wonderful in it too, and I love the theme song so much. It is just about the most evocative film song I've heard. I've tried everywhere to find it but to no avail.

Warners you're a worldwide corporation, export this dvd internationally!



I cry too, every time I see this movie.


I was 20, dating a 31 year old lady, and her sister's daughter, who was about my age, was visiting and she asked if I had ever seen it. It was on tv and she insisted I watch it. We did and it was very nice, a very nice evening. Not only was it a good film, sometimes the events that surround the experience make it more memorable.


Yeah it's one of those movies that no matter how many times you watch it you always hope it will end differently with everyone happy. The Heiress is another one that everytime I see it I hope they will end up together.


Don't Make Me Have to Release the Flying Monkeys!


thank you to everyone for these shares


It still makes me cry, too! I think I must have seen this movie a dozen times and every time it gets to me.


The most memorable film I have ever seen. It taught me what love really is...



I saw it as a child around 1979 on tv late at night. back when tv went off the air around 1am. and there were only 3 channels anyway.
I always remembered it i remembered the lines and scenes. It came on tv tonight in 2012 and i re watched it for the first time since. It was just as i remembered it. so good.


I am like most of the posters on here. I came across this movie for the first time back in the 70's when the Major Networks use to show movies on Friday or Saturday nights. To this day the movie has stayed with me and has formed a lasting impression on how I wish my love life would work out once in a while. But truthfuly what is it about this movie that when you rewatch it you hope for a better ending where they stay together. I have rewatch many many movies in my life and for some reasion this is the only film that does that to me that I can think of. In fact tonight I rewatched it for the first time in 20 years and I still was hoping for the happy ending.

An added bonus Sandy Dennis is still my Ideal woman all because of this movie I would go home with her even if it was only for a Month.

There is more Gravy about you then the Grave. Scrooge.


I know what you mean about the ending, and yet I'm glad that the filmmakers didn't insert a happy ending. It would have seemed trite and cliched, and the finish that we got is so much more meaningful and makes the film that much more memorable. Sara kept to her principles even though it meant losing the love of her life, and yet it also meant that Charlie didn't have to deal with her death, and he can always keep the lively and lovely Sara in his memory. Sweet November is a great film which always touches me every time I watch it. (But avoid the remake like the plague....Keanu Reeves ruins it with his horrid acting.)


i imagine there wasn't a dry eye in the house back in the 1968 theatres


Funny you should write that.

There wasn't! I saw it on a date with my boyfriend of the time (we didn't know anything about the film except that Sandy Dennis and Tony Newley were in it), and we went into the theater unaware that the word "sweet" in the title was....bittersweet and ironic.

My boyfriend was on leave from the army and going back to Vietnam in a week.

To say the film hit us hard is an understatement. Imagine seeing that film when you are on your way back to a war? And saying goodbye to somebody going back to a war? Ugh.

We both cried in the theater but tried to hide it. But we were probably crying both for them and for us.

The ride home to my house in the car was completely silent. We just didn't know what to say. But we knew what we both were thinking.

Fortunately, he came through the war unscathed with just a minor couple of scratches. But we were both affected by the film and talked about it later after his returned home for good. We had been deeply affected by that meditation on love and loss.

Seeing it on TCM this week brought back alot of memories of that time, not to mention which those white go-go boots. God, we all had those sodding white go-go boots. Ha


great story, I always wonder how movies were appreciated at the time. I somehow missed this movie over the years and just caught the other day on tmc too (-: the ending was devastating, (mainly for Anthony Newleys great delivery at the end, really well done)


I love this film, and I love Sandy. I`m sitting here in this library, reading all of these posts, and would`nt you know it, I think I`m starting to well up as I`m reading all this. When Anthony realizes that he HAS to leave, for HER own well being, even though he wants to stay, and not break his heart, its HER wish that he must give in to, and not be selfish, that`s when I break down. Because she knows that she must move on to the next man that she can help. This coming November should be sweet as well, because there is a bio book of Sandy coming out, check it out on amazon. Plus there is also a book already out, for about 15 years now, where Sandy relates her thoughts from her childhood, and her later years with all of her lovely feline friends. I forgot the title, but it has a photo of her on the cover, with one of her cats up on her neck. Its a compilation of notes she wrote down, that her friends found after she passed, and decided to release them, with the procedes going to help homeless animals.


He's terrific, but oh, Sandy's character is one of the original Manic Pixie Dream Girls.


I like sandy dennis alot, and so I tuned in after ch surfing...neewly I only know from arthur...I was kinda blown away by this movie. I am not a big romanic movie nut, but I was taken by surprise, big time! I may never forget the ending,!! She is such a dynamic actor and the way she resists her love for neewly and I guess trusts in her instincts and what she knows? It is not something you see, or expect in movies,, or anywhere maybe? I went into a major mush ball, and rewatched it 3 times..tried to watch just to see them do it..purely academic and I couldn't. Sandy Dennis and the writting was why....must have been something to play off her in a role...


I have loved this movie since I first saw it in the early 70s. I recorded it on my tape recorder (the only way at the time) and listened to it over and over again. I can quote who scenes. Love everyone in this movie, but especially Tony Newley. I would have let him stay!
